Your baby has been the lucky recipient of nature's best possible nutrition for newborns, a mother's breast milk. But all good things eventually come to an end. Breastfeeding experiences may last from one feeding to one year or longer. There are many reasons for choosing to stop breastfeeding and many mothers are torn when the time comes. Perhaps your baby wouldn't latch on and it is difficult for you to express enough milk to keep up with your baby's needs, or you may be returning to a work environment where pumping is not acceptable, or you're tired of dealing with breast milk storage. Whatever the reason, your body needs to slowly wean itself from breast milk production.
**Inserted here: records of molecules**
********
[1]
Computed, not measured: a 8-piece molecular cluster, C32H53BCl2O11S overall, with ωB97M-V/def2-TZVPD.

* SMILES: CCOB(O)C1=CC(=O)C(S)=C(/C(Cl)=C(\C)Cl)C1=O.CC(C)=O.CC(C)=O.CC(C)=O.CC(C)=O.CC(C)=O.CC(C)=O.CC(C)=O
* orbital gap: 7.74 eV
* HOMO energy: -8.813 eV
* E: -93120.5614 eV

```
100
Properties=species:S:1:pos:R:3:forces:R:3:mulliken_charge:R:1
C 2.162 -3.575 -1.211 0.619 0.451 -0.069 -0.8548
C 1.478 -3.084 -2.568 1.308 -1.279 -1.006 0.3889
O 0.041 -2.906 -2.498 0.516 2.163 1.645 -0.5309
B -0.334 -1.712 -1.795 0.623 0.449 -0.464 0.7280
O 0.342 -0.458 -1.889 -1.008 -2.558 -0.304 -0.4617
C -1.618 -1.864 -0.778 -0.442 0.150 1.708 0.5632
C -1.520 -1.773 0.630 -1.614 -0.596 -2.263 -0.5582
C -2.885 -2.000 1.445 0.302 0.588 1.400 0.0956
O -3.108 -1.521 2.581 0.771 -1.625 -3.791 -0.4091
C -3.978 -2.943 0.734 -0.350 0.310 -1.697 0.6094
S -5.167 -3.892 1.801 0.729 1.316 -0.336 -0.1757
C -4.044 -3.055 -0.676 0.255 0.037 0.945 -0.0474
C -5.039 -3.973 -1.476 -2.290 0.330 -0.109 -0.5627
Cl -4.377 -5.459 -2.341 -0.216 1.930 1.246 -0.2137
C -6.427 -3.743 -1.584 2.501 0.137 0.287 0.4223
C -7.130 -2.473 -0.926 0.083 -1.172 -0.311 -0.9342
Cl -7.437 -4.956 -2.529 0.969 1.819 1.337 -0.2047
C -3.015 -2.174 -1.515 0.466 0.188 -0.786 0.4456
O -3.222 -1.765 -2.677 0.449 -1.439 3.705 -0.6174
H 2.122 -4.703 -1.073 -0.109 1.471 -0.293 0.2869
H 1.759 -3.088 -0.265 0.297 -0.449 -1.270 0.1338
H 3.271 -3.265 -1.276 -1.618 -0.600 0.117 0.3144
H 1.657 -3.919 -3.340 -0.344 1.435 1.229 -0.2297
H 2.035 -2.173 -3.001 -1.026 -1.148 0.840 0.1276
H 0.894 -0.398 -2.704 -0.501 0.059 0.716 0.3487
H -0.526 -1.568 1.157 -1.753 -0.135 -0.597 0.3896
H -5.597 -2.921 2.707 0.783 -0.520 -0.836 0.1840
H -7.557 -2.812 0.088 0.480 0.652 -1.588 0.2464
H -6.372 -1.640 -0.757 -0.918 -1.243 -0.261 0.2553
H -7.943 -2.109 -1.632 0.980 -0.491 1.067 0.3630
C -5.246 -2.585 7.425 -0.404 -0.189 0.004 -1.1599
C -5.293 -2.015 6.033 -0.404 -0.010 -0.425 0.7806
O -6.259 -2.187 5.311 0.369 -0.003 0.239 -0.5702
C -4.101 -1.224 5.567 -0.249 0.155 -0.302 -0.8221
H -6.171 -3.130 7.625 0.107 0.070 -0.047 0.3162
H -4.405 -3.277 7.515 0.083 0.173 0.110 0.3230
H -5.150 -1.778 8.155 0.213 -0.079 0.005 0.3315
H -3.210 -1.856 5.574 0.058 0.149 0.127 0.3104
H -3.954 -0.355 6.214 0.192 -0.142 0.132 0.3307
H -4.274 -0.875 4.548 0.044 -0.113 0.149 0.1917
C 1.300 2.922 -5.061 0.245 -0.276 0.252 -1.0512
C 0.415 1.708 -4.969 0.186 -0.338 0.297 0.7050
O 0.752 0.725 -4.337 -0.039 0.300 -0.357 -0.5719
C -0.905 1.757 -5.691 -0.124 -0.448 0.108 -1.1162
H 2.216 2.745 -4.494 -0.113 0.039 -0.095 0.2883
H 1.565 3.111 -6.103 -0.112 0.205 0.061 0.3607
H 0.788 3.788 -4.637 -0.007 0.059 -0.229 0.3263
H -0.739 1.895 -6.762 -0.061 0.207 0.052 0.3443
H -1.515 2.572 -5.295 0.063 0.085 -0.181 0.3355
H -1.437 0.815 -5.538 0.072 0.114 0.008 0.2697
C 1.521 -4.809 -7.122 0.154 0.359 0.058 -1.1468
C 2.007 -5.457 -5.853 0.354 0.316 0.403 0.9168
O 2.667 -4.838 -5.040 -0.212 -0.325 -0.435 -0.6061
C 1.645 -6.901 -5.631 0.167 -0.040 0.351 -1.1468
********
So how long does it take for breast milk to dry up?
As soon as your body becomes accustomed to producing milk, teaching it to stop can prove to be a daunting and very uncomfortable task. Once you begin the process weaning, be prepared to feel uncomfortable as it can take several weeks or even months after a mother stops feeding to fully deplete the milk supply. In order to stop milk production there are not only things you can do to stop it, but also things you can do to expedite the process and make for a more comfortable transition.
There are several do's and don'ts.
********
{"formula": "C16H17BrN2O", "method": "ωB97M-V with the def2-TZVPD basis set", "species": ["C", "N", "C", "C", "C", "C", "C", "C", "C", "H", "H", "H", "H", "H", "H", "H", "C", "C", "O", "N", "C", "C", "C", "C", "C", "C", "H", "H", "Br", "H", "H", "H", "H", "H", "H", "H", "H"], "coordinates": [[3.2432, 1.2496, -0.9114], [2.0556, 1.2004, -0.3403], [2.0867, 0.4447, 0.8153], [1.7295, -1.1291, 0.4820], [1.3324, -1.6861, -0.9177], [0.9891, -2.9308, -0.9738], [1.0526, -3.9101, 0.1518], [1.4904, -3.3605, 1.1358], [1.7228, -2.0241, 1.4211], [2.1007, -1.7850, 2.5022], [1.5344, -3.9092, 2.0711], [0.8298, -4.7265, -0.3194], [0.7833, -3.3305, -2.1353], [1.2607, -0.6973, -1.5276], [1.1334, 0.6659, 1.4058], [2.8146, 0.4100, 1.5070], [1.4169, 2.3712, -0.0011], [-0.1551, 2.4535, 0.3310], [-0.5609, 3.4901, 0.8165], [-0.7526, 1.4637, -0.1719], [-2.0891, 0.9875, -0.2663], [-3.1634, 1.8852, 0.5275], [-4.3456, 1.4287, 0.5115], [-4.6972, 0.0945, 0.1643], [-3.6520, -0.5927, -0.7967], [-2.2733, -0.2648, -0.6456], [-1.5695, -1.0986, -1.0520], [-3.8543, -1.5914, -0.9413], [-6.5004, -0.6450, 0.2141], [-5.0826, 1.8921, 0.9509], [-2.7922, 2.8859, 0.6841], [-0.1135, 0.7473, -0.8698], [1.9215, 3.0796, 0.8025], [1.4916, 3.0306, -0.9649], [3.0610, 1.7006, -1.9460], [3.9997, 1.9637, -0.3578], [3.5517, 0.2364, -1.3558]], "atomic_forces_ev_per_a": [[4.862, 1.579, -5.643], [-3.787, -1.316, 2.808], [-6.715, -5.570, -0.041], [0.067, 2.267, -3.666], [1.344, 7.680, 3.627], [-1.128, -4.154, -4.563], [-2.032, 3.358, -10.524], [2.329, 1.117, 11.690], [2.001, 0.222, 3.839], [-0.925, -0.333, -2.032], [0.348, -0.654, 0.095], [-1.150, -5.731, -0.660], [0.134, 0.751, 3.300], [0.104, -2.660, -0.266], [1.317, -0.053, -0.481], [3.425, 0.586, 1.890], [-0.651, 6.373, -1.069], [4.570, 3.372, 0.203], [-0.601, -0.186, 0.608], [-0.836, -7.371, -5.138], [0.072, 5.150, 4.757], [8.352, -0.755, -4.475], [-3.283, -5.195, -0.216], [3.491, -1.634, -5.277], [-2.531, 2.005, 5.997], [-2.081, -2.863, -2.773], [-0.681, 2.180, 0.843], [-0.762, -2.074, -1.077], [1.315, 0.753, 0.095], [-3.856, 3.019, 2.324], [-0.273, 0.023, 0.558], [-1.664, 2.833, 2.974], [-0.668, -1.588, -1.128], [-0.329, -0.707, 1.542], [0.593, 0.289, 1.094], [-0.692, -1.819, -0.950], [0.322, 1.106, 1.737]], "smiles": "CN(CC(=O)Nc1ccc(Br)cc1)Cc1ccccc1", "gap_ev": 8.3}

=====
********
Back to the page:
Wean gradually. This will tell your body to slow production over time. Gradually substitute feedings with an alternate method, primarily bottle-feeding with formula. Wait a few days before substituting another feeding and so on, until the transition is made.
Pump or hand-express just enough milk to keep you from feeling swollen and overfilled. When milk is already in the breasts, additional production slows, therefore only remove a small amount at a time.
Apply cold compresses, gel packs or cold cabbage leaves to your breasts. This helps reduce swelling and can contribute to diminishing the milk supply if used consistently. If you use chilled cabbage leaves, replace every couple of hours.
Try over-the-counter medications such as ibuprofen or acetaminophen to relieve some discomfort from the weaning.
Check breasts frequently for blocked ducts and potential mastitis or breast abscess. If you have any breastfeeing questions or concerns, contact your doctor or a lactation consultant.
Don't allow your child to feed in order to relieve pressure. The natural supply and demand kicks in and alerts your body that it needs to produce more breast milk, putting you back to square one.
Don't stop breast feeding abruptly unless absolutely necessary. This will cause frustration for your baby and discomfort for you.
Don't bind your breasts. This may actually increase the pain, while providing no real benefits to depleting your supply.
Don't allow room for nipple stimulation. This also activates the production of your milk supply.
Inserted here: calculated molecules >
┌──
{
  "formula": "C2HFKO",
  "method": "ωB97M-V/def2-TZVPD",
  "e_homo_ev": -12.79,
  "total_charge": 1,
  "spin_multiplicity": 1,
  "homo_lumo_gap_ev": 8.46,
  "symbols": ["H", "C", "C", "O", "F", "K"],
  "positions_angstrom": [[0.9225, -1.6609, -0.7106], [-0.0285, -0.1115, 0.1377], [1.0805, -0.8158, -0.0080], [-1.0367, 0.4004, 0.4557], [2.2784, -0.2295, 0.0745], [-3.2164, 2.4173, 0.0507]],
  "atomic_forces_ev_per_a": [[0.62, 0.26, 0.79], [-0.18, 0.34, 0.92], [-0.82, -0.27, -1.60], [0.11, 0.00, -0.35], [0.11, -0.17, 0.20], [0.16, -0.16, 0.05]]
}

* * * * *

[1]
64
Properties=species:S:1:pos:R:3:nbo_charge:R:1 method="wB97M-V/def2-TZVPD" multiplicity=1 total_charge=0 e_homo_ev=-7.8 smiles="CC(=O)Nc1ccc(CN2CCC(n3nccc3NC(=O)CCc3ccccc3)CC2)cc1" e_above_lowest_kj_mol=128.9 energy_ev=-39011.99766 orbital_gap_ev=8.529
C -3.12 3.48 2.54 -0.72
C -2.89 2.01 2.26 0.70
O -2.49 1.23 3.09 -0.63
N -3.16 1.68 0.96 -0.63
C -2.98 0.45 0.33 0.22
C -2.81 -0.74 1.04 -0.27
C -2.59 -1.92 0.36 -0.20
C -2.51 -1.96 -1.03 -0.07
C -2.07 -3.22 -1.73 -0.23
N -0.63 -3.33 -1.94 -0.45
C -0.11 -2.54 -3.05 -0.23
C 1.26 -1.94 -2.77 -0.41
C 1.23 -1.07 -1.51 -0.05
N 0.51 0.16 -1.79 -0.19
N 0.14 0.46 -3.04 -0.29
C -0.40 1.66 -3.00 -0.05
C -0.39 2.17 -1.70 -0.37
C 0.21 1.18 -0.95 0.32
N 0.50 1.13 0.41 -0.63
C 0.19 2.11 1.31 0.71
O -0.40 3.13 1.01 -0.63
C 0.67 1.80 2.71 -0.49
C 2.18 2.04 2.85 -0.41
C 2.99 1.11 1.98 -0.04
C 3.11 -0.24 2.33 -0.18
C 3.81 -1.11 1.52 -0.23
C 4.40 -0.66 0.34 -0.23
C 4.28 0.68 -0.01 -0.21
C 3.58 1.55 0.81 -0.21
C 0.61 -1.85 -0.33 -0.46
C 0.19 -3.27 -0.75 -0.21
C -2.76 -0.78 -1.73 -0.20
C -3.00 0.40 -1.06 -0.25
H -3.09 3.65 3.61 0.24
H -4.08 3.81 2.14 0.22
H -2.32 4.05 2.07 0.26
H -3.35 2.45 0.33 0.40
H -2.84 -0.73 2.12 0.25
H -2.45 -2.83 0.93 0.21
H -2.37 -4.09 -1.14 0.20
H -2.54 -3.30 -2.71 0.21
H -0.05 -3.19 -3.93 0.19
H -0.78 -1.71 -3.29 0.21
H 2.01 -2.73 -2.63 0.21
H 1.56 -1.33 -3.62 0.25
H 2.27 -0.79 -1.25 0.22
H -0.79 2.11 -3.89 0.21
H -0.74 3.12 -1.35 0.25
H 1.03 0.34 0.73 0.43
H 0.42 0.76 2.95 0.23
H 0.14 2.45 3.40 0.25
H 2.46 1.89 3.89 0.22
H 2.40 3.07 2.58 0.22
H 2.67 -0.59 3.24 0.21
H 3.91 -2.15 1.80 0.22
H 4.94 -1.34 -0.29 0.22
H 4.73 1.04 -0.92 0.22
H 3.49 2.59 0.52 0.22
H -0.28 -1.32 0.02 0.24
H 1.32 -1.93 0.49 0.21
H 1.09 -3.87 -0.93 0.19
H -0.35 -3.74 0.07 0.21
H -2.77 -0.79 -2.81 0.22
H -3.18 1.31 -1.62 0.21


[2]
53
Properties=species:S:1:pos:R:3:mulliken_spin:R:1 method="wB97M-V/def2-TZVPD" multiplicity=4 total_charge=0 e_homo_ev="-8.9 / -9.2" e_above_lowest_kj_mol=18.8 energy_ev=-71186.97636 orbital_gap_ev="8.491 / 7.920"
Tc -0.03 0.23 0.22 2.82
O -0.20 -4.78 4.09 0.00
C -0.31 -3.80 3.17 0.00
C -0.19 -4.05 1.80 0.00
C -0.31 -2.99 0.93 0.01
N -0.52 -1.74 1.37 0.02
C -0.64 -1.52 2.68 0.01
C -0.55 -2.51 3.62 0.00
C -0.92 -0.07 3.01 0.01
O -1.23 0.28 4.12 0.02
O -0.84 0.73 1.96 0.00
C -0.23 -3.13 -0.57 0.00
O 0.10 -4.20 -1.06 0.01
O -0.55 -2.04 -1.17 0.03
H 0.00 -5.62 3.66 0.00
H -0.01 -5.04 1.40 0.00
H -0.66 -2.28 4.67 0.00
└──
Don't use heat, such as a heating pad, hot water bottle or even running hot shower water on swollen/engorged breasts. This may just aggravate the situation.
After your breasts remain softened over 24 hours, you should be in the clear. However, watch for signs of your breasts filling and if necessary, repeat the above steps.